Contents:
********
Ta11Co2: computed PXRD pattern (CuKα), based on a PBE-relaxed structure.

The 10 most intense peaks (15° ≤ 2θ ≤ 90°), low angle first:
| d (Å) | two_theta | I_rel |
| --- | --- | --- |
| 4.455 | 19.93 | 27 |
| 2.754 | 32.51 | 32 |
| 2.376 | 37.87 | 75 |
| 2.344 | 38.40 | 100 |
| 2.332 | 38.61 | 27 |
| 2.178 | 41.45 | 52 |
| 2.165 | 41.71 | 48 |
| 2.022 | 44.83 | 53 |
| 1.448 | 64.34 | 28 |
| 1.377 | 68.09 | 38 |

Structural model:
Cell: 9.461 9.461 9.461 Å, 33.85 33.85 33.85°
Sites, in units of the cell vectors:
Ta: 0.000 0.000 0.000
Ta: 0.085 0.085 0.580
Ta: 0.085 0.580 0.085
Ta: 0.350 0.350 0.350
Ta: 0.420 0.915 0.915
Ta: 0.451 0.451 0.451
Ta: 0.549 0.549 0.549
Ta: 0.580 0.085 0.085
Ta: 0.650 0.650 0.650
Ta: 0.915 0.420 0.915
********

Brief:
Filter the entries further above: keep the lines with the word "PXRD".

Worked solution:
Ta11Co2: computed PXRD pattern (CuKα), based on a PBE-relaxed structure.